Maintenance Thread



  • MacMadame
    MacMadame Posts: 1,893 Member
    I'm back from doing my Ironman and my Thanksgiving vacation. Here's my write up on my Ironman:

    I did well while I was gone, but came back to a house empty of good snacks and now my weight is up because its harder to make good choices. I hope to get to the grocery store tomorrow and get back on track!
  • lobster888
    lobster888 Posts: 861 Member
    Hello everyone, I have been missing in action ..I have had a family emergency.( a death) I am really off track and it really shows. I have been very depressed - not exercising and making poor choices. If I can get throught the next week... I may be able to get back on track. For right now - I am just trying to keep my head above the water - so to speak. I just hope the damage isn't too bad. I will get back to it when I get over this hump. I will need all the support and help when I am ready. Thanks everyone!!
  • barty
    barty Posts: 729
    Lobster, So sorry to hear your sad news, thinking of you and hope you feel able to come back with us soon x.
  • kath711
    kath711 Posts: 712 Member
    Lobster: So sorry about your loss.

    stayed the same this week at upper part of range.
  • Bermudabarbie
    Bermudabarbie Posts: 568 Member
    Sorry about your loss, Lobster.

    I am still at 136/ 137. Very pleased with this. Some days I feel that I do better than others, even staying within the same calories. It's the food and exercise choices I make for the days. I would never say that I had a "good day," if all I ate were sugary and fatty foods -- even if I stayed under my calorie goal.

    It's still a struggle in many ways. Kind of constant surveillance. Someday I may "feel" like a thin person, but not yet!
  • HealthyChanges2010
    HealthyChanges2010 Posts: 5,831 Member
    New to maintenance, reached my goal weight at the beginning of Nov.:drinker:

    Having a rough time thinking of eating more cals...likely a fear thing. Working on making the adjustment...

    Nice to see this thread:flowerforyou:
  • HealthyChanges2010
    HealthyChanges2010 Posts: 5,831 Member
    bumping for another member looking for this particular thread:flowerforyou:
  • DeeDeeLHF
    DeeDeeLHF Posts: 2,301 Member
    Lobster, so sorry to hear about this. These are the times that really test us.

    Informal your opinion when life happens (death, illness, weddings, holidays) do you think it is better to go with the flow for a week and not worry too much than after a week or two go back on the restricted calorie plan or to try to continue during the stressful time? It seems to me that we should all be learning how to deal with life in a way that doesn't involve food. and that exercise would help us deal with the stress but for me the truth is when I am consumed by something in life, good or bad, I just cannot focus that heavily on the calories and things like fast food just happen. What are your thoughts?

    Mac: Congrats on the IRonman!! Very cool!

    Barty it looks like you are right on track with your running ticker.

    Welcome Healthy Changes. This is not a thread where you tend to see daily posts but it is a helpful one as we are all in the same boat again. Trying to figure out how to increase calories to not gain. Changing self images, like what Barbie talked about. How to make this whole thing stick. I can identify with the fear factor! We all know at least one person who has lost tons of weight only to put it back on again and none of us want to be that person!!! Yikes! It has taken me 5+ years to take it off and I am afraid I could gain it all back in one year if I returned to the behaviors that got me up to 180+ to begin with!!

  • HealthyChanges2010
    HealthyChanges2010 Posts: 5,831 Member
    Thanks for the warm welcome Donna:flowerforyou:
  • yvonnej1
    yvonnej1 Posts: 904 Member
    Donna, regarding your question about how we react when hit by life events my view is about trying to find a balance. Trying not to go completely off track by comfort eating but equally cutting myself some slack and being kind to myself. I think it is no good stressing about your diet on top of your other life stresses sometimes. That said though ideally if I indulge in 'naughty' foods or drink I try to offset it through exercise, I know for one that I feel much better if I can keep going to the gym, I get really twitchy when I don't.
    Personally I have a bit of a challenge coming up as I won't be able to get to the gym or do much exercise in the next couple of weeks as I am having some treatment to my back. In the short term it will be more painful, stiff etc. but in the long term will help my chronic pain. So I have to adapt to not exercising and will need to watch my calorie intake as I will be pretty much inactive plus also fight the urge not to comfort eat because I am stuck at home and fed up.
  • MacMadame
    MacMadame Posts: 1,893 Member
    I try to use MFP during these times. That helps keep my calories in check. I find I tend to be hard on myself regularly and hold my eating to a very high standard. To the point where half the things most people eat as "healthy" snacks are on my "no good" list. So I know I can fall back onto those foods which are easy but still not very high calorie during stressful times. I also can eat junk, just not a lot of it. MFP lets me know if I'm going overboard on the junk.

    I'm taking Dec. off from training for triathlons. I need to heal my injured calf. I know it's going to be challenging to keep my calories in line with such a drastic cut in my workout schedule. So I'm giving myself some leeway to lose some muscle weight and gain some fat weight. I know when I start training again for my Spring and Summer races, that it will reverse itself. It did last year.

    We'll see if I can be calm about it all and not freak out like I did last year though. I probably will freak out a few times but I'm going to try to be calm and forgiving about it as long as my overall weight doesn't go up too much.
  • DeeDeeLHF
    DeeDeeLHF Posts: 2,301 Member
    Thanks for the replies about times of stress. It helps. now I am converting to maintenance calories. I am eating 1400 per day and eating some of my exercise calories. (I was at 1200 and eating half of my exercise calories). Some days I am under and some days I am over by a small amount. (like two days ago I was over by 17 calories). So, the scales seem to be heading in the wrong direction. Where I had been down to a low of 119, I am now seeing 123-124. It could be related to my cycles. (I am 46 and very much in peri-menopause so I never know what is happening these days.) It could be extra food bulk since I am eating more. could be that after dieting for so long that even 1400 calories is too much. What do you all think?
  • MacMadame
    MacMadame Posts: 1,893 Member
    It could also be that your exercise calories as logged on the site are too high. If you do strength training, you could also be putting on muscle. If it's that, your clothes will continue to fit even though the number on the scale is higher.

    What I did when I got to my goal weight was to add in about 100-200 calories and then wait a few weeks. If I kept losing, I would add in some more and wait a few weeks and see how that went. I did that until I got to a point where I wasn't losing or gaining within a 5 pound range that I attribute to water fluctuations.

    Also, I weigh myself every day and if I am over 120 two days in a row, I cut back on my eating and/or increase my exercise.
  • kath711
    kath711 Posts: 712 Member
    Well, looks like I am going to be trying to maintain without exercise for a while as I messed up my knee playing soccer. Thankfully, it is just very bruised but is going to take a few weeks to heal. Will still go to the gym for strength training but running is out for a while :(
  • gailosborne
    Hi, I've started reading with great interest through this thread. I would love to join you! I have maintained a 100lb loss for a year now. I'd love to keep on the right path with you all!!!

    Gail x
  • barty
    barty Posts: 729
    Hi, and a very warm welcome to Gail, 100lbs lost WOW well done you and to keep it of for a year, thats fab!!!! you will have to share with us how you have managed it..... I am struggling to keep at 119 lbs that I reached in August lol :laugh:
  • kath711
    kath711 Posts: 712 Member
    Hi, I've started reading with great interest through this thread. I would love to join you! I have maintained a 100lb loss for a year now. I'd love to keep on the right path with you all!!!

== Attached: materials data ==
-- begin --
No. 1
AgPS3 PBE optimized geometry; space-group type = C2/m; energy of formation = -2.3 eV per formula unit; crystal system = monoclinic
1.0
5.5004 -3.6448 0.0000
5.5004 3.6448 0.0000
-4.4578 0.0000 6.2566
Ag P S
2 2 6
direct
0.2462 0.7538 0.0000
0.7538 0.2462 0.0000
0.1445 0.1445 0.7074
0.8555 0.8555 0.2926
0.1711 0.1711 0.9905
0.2142 0.7858 0.5000
0.3319 0.3319 0.7190
0.6681 0.6681 0.2810
0.7858 0.2142 0.5000
0.8289 0.8289 0.0095

No. 2
ScAgP2Se6 PBE optimized geometry; space-group type = P-31c; energy of formation = -8.1 eV per formula unit; crystal system = trigonal
1.0
6.5350 0.0000 0.0000
-3.2675 5.6595 0.0000
0.0000 0.0000 15.1689
Sc Ag P Se
2 2 4 12
direct
0.0000 0.0000 0.2500
0.0000 0.0000 0.7500
0.3333 0.6667 0.2500
0.6667 0.3333 0.7500
0.3333 0.6667 0.6758
0.3333 0.6667 0.8242
0.6667 0.3333 0.1758
0.6667 0.3333 0.3242
0.0240 0.3286 0.6331
0.0240 0.6955 0.8669
0.3045 0.3286 0.8669
0.3045 0.9760 0.6331
0.3286 0.0240 0.1331
0.3286 0.3045 0.3669
0.6714 0.6955 0.6331
0.6714 0.9760 0.8669
0.6955 0.0240 0.3669
0.6955 0.6714 0.1331
0.9760 0.3045 0.1331
0.9760 0.6714 0.3669

No. 3
Ag7PSe6 PBE optimized geometry; space-group type = P2_13; ΔE to the lowest computed polymorph = 0 kJ/mol of formula units; energy of formation = -4.3 eV per formula unit; crystal system = cubic
1.0
10.9638 0.0000 0.0000
0.0000 10.9638 0.0000
0.0000 0.0000 10.9638
Ag P Se
28 4 24
direct
0.0104 0.0184 0.2790
0.0184 0.2790 0.0104
0.0701 0.8930 0.7278
0.1070 0.2278 0.4299
0.1552 0.6552 0.8448
0.2210 0.9896 0.5184
0.2278 0.4299 0.1070
0.2722 0.5701 0.6070
0.2790 0.0104 0.0184
0.3448 0.3448 0.3448
0.3930 0.7722 0.9299
0.4299 0.1070 0.2278
0.4816 0.7210 0.5104
0.4896 0.9816 0.7790
0.5104 0.4816 0.7210
0.5184 0.2210 0.9896
0.5701 0.6070 0.2722
0.6070 0.2722 0.5701
0.6552 0.8448 0.1552
0.7210 0.5104 0.4816
0.7278 0.0701 0.8930
0.7722 0.9299 0.3930
0.7790 0.4896 0.9816
0.8448 0.1552 0.6552
0.8930 0.7278 0.0701
0.9299 0.3930 0.7722
0.9816 0.7790 0.4896
0.9896 0.5184 0.2210
0.2454 0.7546 0.2546
0.2546 0.2454 0.7546
0.7454 0.7454 0.7454
0.7546 0.2546 0.2454
0.0207 0.5207 0.9793
0.1199 0.8608 0.1323
0.1323 0.1199 0.8608
0.1346 0.3654 0.6346
0.1392 0.6323 0.3801
0.2117 0.2117 0.2117
0.2883 0.7883 0.7117
0.3608 0.3677 0.8801
0.3654 0.6346 0.1346
0.3677 0.8801 0.3608
0.3801 0.1392 0.6323
0.4793 0.4793 0.4793
0.5207 0.9793 0.0207
0.6199 0.6392 0.8677
0.6323 0.3801 0.1392
0.6346 0.1346 0.3654
0.6392 0.8677 0.6199
0.7117 0.2883 0.7883
0.7883 0.7117 0.2883
0.8608 0.1323 0.1199
0.8654 0.8654 0.8654
0.8677 0.6199 0.6392
0.8801 0.3608 0.3677
0.9793 0.0207 0.5207

* * * * *

Record 1
## Sm4Sb3 (meta-GGA r2SCAN)

Data for a relaxed Sm4Sb3 crystal.

abc: 8.1234 8.1234 8.1234
angles: 109.47 109.47 109.47
Last column: nearest neighbours and their distance in Å.
Positions (direct):
Sm 0.0000 0.1418 0.5000  6 Sb 3.12-3.38
Sm 0.0000 0.6418 0.5000  6 Sb 3.12-3.38
Sm 0.1418 0.5000 0.0000  6 Sb 3.12-3.38
Sm 0.3582 0.3582 0.3582  6 Sb 3.12-3.38
Sm 0.5000 0.0000 0.1418  6 Sb 3.12-3.38
-- stop --

    Gail x

    Wow, that is awesome! You'll have to give us tips to those who have just started trying to adjust to maintenance. Welcome!
  • DeeDeeLHF
    DeeDeeLHF Posts: 2,301 Member
    Gail, Congratulations!! The victory of keeping 100 pounds off is more awesome than taking them off to begin with. Although I am sure the later was more gratifying!

    That is the problem with maintenance. No one is patting you on the back or giving compliments. Eventually everyone gets used to seeing you that size...or harder becomes impatient if you mention something that implies that you are still conscious of your food intake or exercise.

    Kath, I hope you knee is better for Christmas. Good plan to keep doing what you can.

    Macmadame: Thanks for your input. I do wear a HRM so I am hoping that my exercise calories are fairly accurate. I take what the HRM says, round down and then subtract 1 calorie for every minute exercised to account for calories normally burned. My son told me last night that he thinks I am building muscle and truthfully my clothes all fit the same. I did decrease my calories from 1400 back to 1300 and will only eat half of my exercise calories. I am so grateful for logging as I can go back and see my net calories for the past 3 weeks and it gives me a ball park for the next three.

    I admit that this is low and I think it is going to mean careful choices for the rest of my life if this is really my maintenance level. Stinks that my maintenance is lower than some peoples diet!! :laugh: But at 5 ft 1 inch, that might just be what it is.

    When I saw the scales number I was tempted to do something stupid and radical but then decided that punishing my body was not healthy. I don't need to respond with a knee jerk reaction. I can calmly and simply adjust my calories and give myself time to work this out. I suppose that new way of thinking goes into lifestyle change.

    Yesterday, I put on my exercise clothes thinking that if I was dressed to exercise it would come. Wrong! It didn't. My day was filled with helping and listening to my children.:heart: A worthwhile trade off.

    Well, no choice but to get some in today at least in the form of shoveling!:grumble:

  • gailosborne

    thanks so much for such a lovely welcome and such encouraging words. I think I don't have any amazingly new advice- but just to reiterate what others have said; I found the first few months terrifying and weighed myself daily. Now I do it once a month, I'm lucky enough to have a personal trainer and she weighs and measures me and then I don't have to bother.
    I work out lots - running, cycling, strength training, rowing, plyometrics, circuits etc. I would love to do a triathlon but need to toughen up I think!!!

    I read something that said something like, " A destination is just the start of another journey." and I know it sounds corny but I think is sums maintenance up, in some ways it is a harder journey- you haven't arrived you are just beginning. I just try to stay organised about what I eat and plan ahead, I know if I am tired I have less self control so need to deal with that when it happens. I know for me personally, if I have chocolate, cookies, ice cream, cheese, crisps or candy etc in the house I will eat them and find it hard to stop - so I just don't buy them. I do eat this sort of food if I am out sometimes but don't bring it home.

    I think it is true that the comments about how much you've lost stop and I found that tricky as they were such a boost to me on the way down. I became a bore and I tried people's patience by having the same conversation about whether they thought I'd keep it off forever....its just reassurance I think but I must 'do people's head in!!'

    I am also lucky enought to have a good friend from here Kenny, who is also a maintainer and we email each other regularly and I have found it a great thing to be able to discuss all sort of things from dating, to lose skin, to what exercises we've done to who has accused us of 'going to far with this weight loss business....' as well as celebrating fitness achievements.

    I don't know if this helps Donna but in my first 2 months of weight training, I lost 6inches but my weight went up about 2kg. (A bit later I began to lose more weight but this was planned for vanity purposes!) Now I only think about measurements and not weight. The other good thing about gaining muscle is your metabolism gets raised, at the end of almost 2 years of dieting, mine had hit the floor!!! I'm 5.5 and eat about 18,00 for maintenance now although for the next few weeks I've cut it back to 1400 so I can have a few indulgences!!

    Hope I haven't gone on too much, I love reading this thread and am really glad I found you all.

    Gail xx
  • DeeDeeLHF
    DeeDeeLHF Posts: 2,301 Member
    Thanks Gail! I don't think you went on at all! I really appreciated all that you had to say. I think I should update my measurements and see if there is any improvement.
